I know, this picture has nothing whatsoever to do with writing, but it makes me laugh every time I see it. These are two of our daughter's babies: Gigi the wonder dog and Grayson the crazy cat have something in common this week, and they're sharing their misery--they both got haircuts. Burrs and stickers were too deeply imbedded in knots in their long fuzzy hair to brush them out, and the annual spring clip happened in spite of their lack of approval. Neither one of them is at ALL happy about this fact. They're both mad at the world (note the kitty glare and the dog studiously avoiding eye contact) and currently not speaking to anyone they think might be involved in this humiliating turn of events. They don't particularly like each other, but the persecuted do tend to band together. They are a couple of my grandcritters, as opposed to grandkids, so this is me flipping out pictures of the grands.
We will now move on to our regularly planned newsletter...
Between two parts of the piece: materials data >
This entry pairs a crystal structure of Pb3Br2O2 with its simulated X-ray diffraction stick pattern. Radiation: λ = 1.5418 Å (Cu Kα). Structure: a PBE-relaxed structure.

Crystal structure
Lattice parameters (Å, degrees): 12.522 6.001 10.161 90.00 90.00 90.00
Atoms (fractional coordinates):
Pb  0.058  0.250  0.216
Pb  0.078  0.250  0.575
Pb  0.208  0.750  0.363
Pb  0.292  0.250  0.863
Pb  0.422  0.750  0.075
Pb  0.442  0.750  0.716
Pb  0.558  0.250  0.284
Pb  0.578  0.250  0.925
Pb  0.708  0.750  0.137
Pb  0.792  0.250  0.637
Pb  0.922  0.750  0.425
Pb  0.942  0.750  0.784
Br  0.128  0.750  0.081
Br  0.190  0.750  0.696
Br  0.310  0.250  0.196
Br  0.372  0.250  0.581
Br  0.628  0.750  0.419
Br  0.690  0.750  0.804
Br  0.810  0.250  0.304
Br  0.872  0.250  0.919
O  0.077  0.004  0.389
O  0.077  0.496  0.389
O  0.423  0.504  0.889
O  0.423  0.996  0.889
O  0.577  0.004  0.111
O  0.577  0.496  0.111
O  0.923  0.504  0.611
O  0.923  0.996  0.611

Largest 10 diffraction maxima, sorted by position, 15 to 90 degrees two-theta:
2θ = 22.31°, I = 35.1
2θ = 24.03°, I = 40.9
2θ = 27.47°, I = 61.3
2θ = 27.66°, I = 47.3
2θ = 29.78°, I = 79.8
2θ = 30.30°, I = 97.0
2θ = 31.15°, I = 43.9
2θ = 32.25°, I = 100.0
2θ = 41.09°, I = 46.5
2θ = 49.97°, I = 38.5

* * * * *

(1)
The following is a theoretical XRD peak list of DyScOs. It was derived from a structure optimized by DFT (PBE), using CuKα.
Kinematic intensities with the Lorentz-polarization factor, no thermal factor.

Atomic structure:
```
DyScOs
1.0
-1.652 1.652 6.226
1.652 -1.652 6.226
1.652 1.652 -6.226
Dy Sc Os
1 1 1
direct
0.000 0.000 0.000
0.257 0.257 0.000
0.639 0.639 0.000
```

Principal peaks in the range 5 to 70 degrees two-theta, sorted by position:
14.23 deg, intensity 642
27.93 deg, intensity 152
34.70 deg, intensity 1000
38.53 deg, intensity 455
41.27 deg, intensity 192
43.61 deg, intensity 80
45.61 deg, intensity 342
55.62 deg, intensity 156
59.58 deg, intensity 129
67.25 deg, intensity 294

(2)
The following is a theoretical XRD peak list of Pm12YTm5. It was derived from a structure optimized by DFT (PBE), using CuKα.
Kinematic intensities with the Lorentz-polarization factor, no thermal factor.

Atomic structure:
```
Pm12YTm5
1.0
6.069 -8.537 0.000
6.069 8.537 0.000
-0.001 0.000 5.742
Pm Y Tm
12 1 5
direct
0.031 0.671 0.999
0.170 0.532 0.501
0.200 0.200 0.494
0.298 0.298 0.994
0.329 0.969 0.001
0.468 0.830 0.499
0.532 0.170 0.501
0.671 0.031 0.999
0.702 0.702 0.006
0.800 0.800 0.506
0.830 0.468 0.499
0.969 0.329 0.001
0.500 0.500 0.500
0.000 0.000 0.000
0.134 0.866 0.500
0.365 0.635 0.000
0.635 0.365 0.000
0.866 0.134 0.500
```

Principal peaks in the range 5 to 70 degrees two-theta, sorted by position:
25.51 deg, intensity 80
31.15 deg, intensity 263
31.29 deg, intensity 1000
31.44 deg, intensity 157
40.69 deg, intensity 90
44.77 deg, intensity 108
44.85 deg, intensity 118
55.54 deg, intensity 241
62.18 deg, intensity 91
62.24 deg, intensity 77

(3)
That whooshing noise you hear is me taking a very deep breath. Dark Terror is up for sale, the print editions look beautiful, though I must admit I'm more impressed with the Amazon copies than those at B&N. They're thicker and have a bit more of a quality book feel to them, though the covers for both are identical. I guess it has something to do with the weight of the paper, but in any case, both look good and I'm thrilled to be able to offer the book in print. Quality like this in a print on demand book was unheard of just a few short years ago, and it makes it so nice for those of us who want to self-publish a series discontinued by the publisher and still be able to provide our readers with print books.
Another reason I'm relaxing is that Wolf Tales 10 is with my editor, Wolf Tales 11 is with my beta readers, and Wolf Tales 12 is just waiting for the betas to have time to look it over. No changes to the stories, but I want them to catch typos. When we get our rights returned, we get the unedited copies we originally submitted. In my case, there were no editorial changes made beyond the copy edits, which were for typos and grammar errors, so that's what I've got my crew looking for. We have their release schedule--Wolf Tales 10 will be out in August, Wolf Tales 11 in October, and Wolf Tales 12 in January 2018. If you've never read them or have forgotten what the stories are about, the titles are linked to their pages on my site. Covers will be different, but the stories will remain the same. If you haven't read 12, and if you're enjoying the Spirit Wild series, I think you'll really get a lot out of that final book in Wolf Tales.
I'm working on my website at the moment, trying to get a single page up with links to all my books. There are a lot of books! Then I want to work on the Dream Catchers series and get those back up for sale. That poor series came out during the Borders crash and sales were horrible. I still think it's one of the best series I've ever written, so I'm anxious to get the books up for readers to take a look. Imagine SF/erotic romance with creatures who exist as energy but can take human form...here's the blurb for Dream Bound, the first novel in the series:
They are creatures of light in search of an energy source to help them survive. So when the Nyrians discover amazing power in the extreme passion and sexual pleasure of humans, they come to Earth to satisfy their needs. . .
Dream Lover
For years, Mac Dugan has been trying to find the mysterious being he once loved and then lost. Now he has gathered a group of six highly intuitive and extremely sexual men and women at a secret mountain hideaway. Here he hopes to focus their potent sensuality into highly erotic fantasies that will summon his lover, Zianne. What he doesn't anticipate is each team member making extraordinary sexual discoveries of their own. . .
-- What comes next are calculated crystals, not part of the piece --
# LiV4CuO12
Simulated powder X-ray diffraction pattern, a wavelength of 1.5418 Å. Input: a GGA+U-relaxed structure.
No peak broadening, texture or thermal motion is included.

Peak list (10 most intense, 10 to 80 degrees two-theta, by intensity)
- 28.4 deg, I 100.0
- 18.4 deg, I 59.9
- 30.3 deg, I 59.2
- 19.9 deg, I 54.7
- 32.3 deg, I 48.0
- 25.6 deg, I 44.7
- 18.9 deg, I 34.3
- 45.5 deg, I 25.0
- 35.3 deg, I 23.2
- 23.5 deg, I 22.6

Structural model:
```
data_LiV4CuO12
_symmetry_space_group_name_H-M 'P 1'
_symmetry_Int_Tables_number 1
_cell_length_a 6.710
_cell_length_b 6.710
_cell_length_c 5.923
_cell_angle_alpha 105.13
_cell_angle_beta 105.13
_cell_angle_gamma 83.35
loop_
_symmetry_equiv_pos_as_xyz
'x,y,z'
loop_
_atom_site_label
_atom_site_type_symbol
_atom_site_fract_x
_atom_site_fract_y
_atom_site_fract_z
Li1 Li 0.000 0.000 0.000
V1 V 0.110 0.470 0.993
V2 V 0.300 0.296 0.508
V3 V 0.530 0.890 0.007
V4 V 0.704 0.700 0.492
Cu1 Cu 0.828 0.172 0.500
O1 O 0.114 0.119 0.426
O2 O 0.246 0.455 0.297
O3 O 0.286 0.447 0.802
O4 O 0.302 0.014 0.999
O5 O 0.539 0.174 0.528
O6 O 0.545 0.754 0.703
O7 O 0.553 0.714 0.198
O8 O 0.728 0.057 0.146
O9 O 0.826 0.461 0.472
O10 O 0.881 0.886 0.574
O11 O 0.943 0.272 0.854
O12 O 0.986 0.698 0.001
```
-- The calculated crystals stop here --
I'm posting a URL link here to the Dream Catchers pages--the only way for you to find them is via this link. The pages do not show in navigation, but you can access the novella excerpt with the link and both novel excerpts with the links at the bottom of the pages, in case you're curious about the stories. The info is all out of date, regarding the buy links and such, but the excerpts will give you a feel for the books.
**Materials data from another source follow**
........
1.
Structure and theoretical powder X-ray diffraction pattern of Ca4Ni4Ge3 (the GGA-PBE geometry in the Materials Project; Cu Kα, 1.54184 Å).

Crystal structure
Lattice parameters (Å, degrees): 4.1760 10.3851 19.8288 90.00 90.00 90.00
Space group Cmcm (No. 63)
Inequivalent atoms, fractional coordinates:
Ca: 0.0000 0.0000 0.0000 [4 per cell]
Ca: 0.0000 0.2686 0.2500 [4 per cell]
Ca: 0.0000 0.4431 0.6502 [8 per cell]
Ni: 0.0000 0.1557 0.6434 [8 per cell]
Ni: 0.0000 0.2725 0.5337 [8 per cell]
Ge: 0.0000 0.0333 0.7500 [4 per cell]
Ge: 0.0000 0.2834 0.0872 [8 per cell]

The 10 most intense peaks (10 to 90 degrees two-theta), in order of rising 2θ:
two_theta  I_rel  (hkl)
17.08  68  0 2 0
17.66  52  0 2 1
19.30  94  0 2 2
33.94  65  1 3 1
38.35  69  1 3 4
39.40  71  1 1 7
43.33  100  2 0 0
43.63  37  1 3 6
46.82  51  1 3 7
47.47  83  1 1 9

2.
Structure and theoretical powder X-ray diffraction pattern of Ca5Ni17Ge8 (the GGA-PBE geometry in the Materials Project; Cu Kα, 1.54184 Å).

Crystal structure
Lattice parameters (Å, degrees): 4.0314 25.1260 8.9909 90.00 90.00 90.00
Space group Amm2 (No. 38)
Inequivalent atoms, fractional coordinates:
Ca: 0.0000 0.0000 0.0000 [2 per cell]
Ca: 0.0000 0.1942 0.2334 [4 per cell]
Ca: 0.5000 0.1051 0.5059 [4 per cell]
Ni: 0.0000 0.0493 0.6955 [4 per cell]
Ni: 0.0000 0.0637 0.2706 [4 per cell]
Ni: 0.0000 0.1113 0.0193 [4 per cell]
Ni: 0.0000 0.2012 0.5748 [4 per cell]
Ni: 0.0000 0.2145 0.9166 [4 per cell]
Ni: 0.5000 0.0000 0.2919 [2 per cell]
Ni: 0.5000 0.0845 0.8521 [4 per cell]
Ni: 0.5000 0.1659 0.0025 [4 per cell]
Ni: 0.5000 0.1988 0.7446 [4 per cell]
Ge: 0.0000 0.0000 0.4604 [2 per cell]
Ge: 0.0000 0.1378 0.7659 [4 per cell]
Ge: 0.5000 0.0000 0.7363 [2 per cell]
Ge: 0.5000 0.0848 0.1470 [4 per cell]
Ge: 0.5000 0.2397 0.4972 [4 per cell]

The 10 most intense peaks (10 to 90 degrees two-theta), in order of rising 2θ:
two_theta  I_rel  (hkl)
10.45  54  0 1 1
14.45  92  0 3 1
20.24  40  0 5 1
20.99  45  0 2 2
34.87  42  0 8 2
41.63  83  1 5 3
44.97  100  2 0 0
45.39  73  1 7 3
46.83  52  1 2 4
47.17  85  1 10 2

3.
Structure and theoretical powder X-ray diffraction pattern of Ca2Ge7O16 (the GGA-PBE geometry in the Materials Project; Cu Kα, 1.54184 Å).

Crystal structure
Lattice parameters (Å, degrees): 11.5071 11.5071 4.7121 90.00 90.00 90.00
Space group P-4b2 (No. 117)
Inequivalent atoms, fractional coordinates:
Ca: 0.1648 0.3352 0.0000 [4 per cell]
Ge: 0.0000 0.5000 0.5000 [2 per cell]
Ge: 0.0664 0.8125 0.4909 [8 per cell]
Ge: 0.1337 0.6337 0.0000 [4 per cell]
O: 0.9998 0.3829 0.2534 [8 per cell]
O: 0.0275 0.7197 0.7771 [8 per cell]
O: 0.0682 0.1403 0.3368 [8 per cell]
O: 0.1702 0.7662 0.2320 [8 per cell]

The 10 most intense peaks (10 to 90 degrees two-theta), in order of rising 2θ:
two_theta  I_rel  (hkl)
10.87  19  1 1 0
17.23  38  2 1 0
21.80  26  1 1 1
24.43  24  2 0 1
31.05  100  3 1 1
32.07  18  4 1 0
33.92  36  3 2 1
36.60  16  4 0 1
51.37  20  3 3 2
54.03  16  6 2 1

4.
........
There's a novella that introduces the series called Dream Catcher, and I want to get that out first, but I promise to keep you up on the details. I'm so excited to get to work on putting these books back up! And, I'm working on characters for the next in the Spirit Wild series. I have a title--DARK CAPTIVE. More when I know it.

And on that note, this puppy's gotta head to bed. I've been working on my website all day long and my brains are fried! I hope you've had a chance to read Dark Terror, and if you did and have the time, I would really appreciate a review on Goodreads or Amazon or wherever you got it. This writing biz is getting SO competitive! And if you review for a site, please let me know so I can post something on my website.
In the meantime, I hope it's finally decent weather where you live (it's turned cold and blustery here, but we're hoping for warm weather asap!) and that you've got some time to kick back and read a good book. I haven't had as much time as I'd like, though I have been working my way through the Quantum Series by Marie Force writing as M.S. Force, and damn but these books are hot--and so well done! Love the stories--romances with some BDSM, but it's moe about the story than the "lifestyle." Really, really good books! The first one, Virtuous, is free, but it'll probably get you hooked. Badly!